The Children of Maesybidia


   John 1821 - 1906

        John born 3rd April, 1821, Maesybidiau

          third child second son of John and Esther

          Died 24th March, 1906 Stockton,

        San Joaquin, California, USA

             John Davis Jones born 3rd April, 1821 – Maesybidiau

                     Died . 24th March, 1906  buried Stockton, San Joaquin, California


Letters from John to Brother Ricy Davis Jones

To view replies from Ricy please click here

                       Stockton, California

                                                                                         February 18, 1879



Dear Brother

I received your letter yesterday and was glad to hear from you, I got a letter from John T Reilly dated the 14th December and I wrote right back to him but have go no answer till I got your letter.  I can say to you that I am well and am living here in Stockton and have been for several years. 

I want you to write to me as soon as you get his letter and direct it to Stockton City California so nothing more at but still remain,



                   Your affection Brother until Death,  John D. Jones



Stockton, California

-- Unrelated to this entry: materials data --
[1]
Computed powder diffraction line list of NaReOsO6 for Cu Kα X-rays, from a structure optimized by DFT (GGA-PBE).

Structure:
a = 5.3179 Å, b = 5.3179 Å, c = 5.0572 Å
α = 90.00°, β = 90.00°, γ = 120.00°
Space group P312 (No. 149)
Inequivalent atoms, fractional coordinates:
Na: 0.0000 0.0000 0.0000 x1
Re: 0.3333 0.6667 0.5000 x1
Os: 0.6667 0.3333 0.5000 x1
O: 0.0070 0.3842 0.7039 x6

Largest 10 diffraction maxima, low angle first, 2θ = 10–80°:
| 2theta | Rel. int. | index |
| --- | --- | --- |
| 17.54 | 100 | 0 0 1 |
| 19.27 | 53 | 1 0 0 |
| 26.17 | 76 | 1 0 1 |
| 33.71 | 52 | 1 1 0 |
| 38.24 | 71 | 2 -1 1 |
| 43.17 | 17 | 2 0 1 |
| 49.76 | 53 | 2 -1 2 |
| 55.86 | 18 | 3 -1 1 |
| 63.31 | 19 | 3 0 1 |
| 65.57 | 18 | 1 1 3 |

***

[2]
Computed powder diffraction line list of Na5Tl2Pt for Cu Kα X-rays, from a structure optimized by DFT (GGA-PBE).

Structure:
a = 7.195 Å, b = 14.603 Å, c = 4.026 Å
α = 90.00°, β = 90.00°, γ = 90.00°
Space group Pbam (No. 55)
Inequivalent atoms, fractional coordinates:
Na: 0.000 0.000 0.000 x2
Na: 0.031 0.246 0.000 x4
Na: 0.236 0.389 0.500 x4
Tl: 0.198 0.606 0.500 x4
Pt: 0.000 0.500 0.000 x2

Largest 10 diffraction maxima, low angle first, 2θ = 10–80°:
| 2theta | Rel. int. | index |
| --- | --- | --- |
| 12.12 | 67 | 0 2 0 |
| 13.72 | 100 | 1 1 0 |
| 17.30 | 83 | 1 2 0 |
| 28.19 | 52 | 1 2 1 |
| 33.12 | 76 | 0 4 1 |
| 33.40 | 66 | 2 0 1 |
| 35.02 | 51 | 2 4 0 |
| 44.40 | 30 | 3 1 1 |
| 45.01 | 31 | 0 0 2 |
| 58.29 | 26 | 2 4 2 |

***

[3]
Computed powder diffraction line list of HoAgHgF6 for Cu Kα X-rays, from a structure optimized by DFT (GGA-PBE).

Structure:
a = 5.362 Å, b = 5.362 Å, c = 11.012 Å
α = 90.00°, β = 90.00°, γ = 90.00°
Space group P4_2nm (No. 102)
Inequivalent atoms, fractional coordinates:
Ho: 0.000 0.000 0.000 x2
Ag: 0.000 0.000 0.666 x2
Hg: 0.000 0.000 0.334 x2
F: 0.182 0.182 0.156 x4
F: 0.198 0.198 0.855 x4
F: 0.213 0.213 0.490 x4

Largest 10 diffraction maxima, low angle first, 2θ = 10–80°:
| 2theta | Rel. int. | index |
| --- | --- | --- |
| 23.46 | 100 | 1 1 0 |
| 29.49 | 91 | 1 0 3 |
| 33.42 | 25 | 2 0 0 |
| 45.17 | 75 | 2 1 3 |
| 47.99 | 18 | 2 2 0 |
| 54.09 | 17 | 3 1 0 |
| 55.64 | 19 | 1 1 6 |
| 57.34 | 22 | 3 0 3 |
| 68.02 | 16 | 3 2 3 |
| 77.94 | 13 | 4 1 3 |

***

[4]
Computed powder diffraction line list of V6IrC for Cu Kα X-rays, from a structure optimized by DFT (GGA-PBE).

Structure:
a = 4.394 Å, b = 4.986 Å, c = 5.034 Å
α = 96.60°, β = 111.16°, γ = 91.20°
Space group P-1 (No. 2)
Inequivalent atoms, fractional coordinates:
V: 0.063 0.293 0.151 x2
V: 0.199 0.850 0.431 x2
V: 0.422 0.410 0.745 x2
Ir: 0.500 0.000 0.000 x1
C: 0.000 0.500 0.500 x1

Largest 10 diffraction maxima, low angle first, 2θ = 10–80°:
| 2theta | Rel. int. | index |
| --- | --- | --- |
| 17.95 | 26 | 0 1 0 |
| 19.07 | 30 | 0 0 1 |
| 21.74 | 22 | 1 0 0 |
| 23.11 | 21 | 1 0 -1 |
| 40.66 | 100 | 1 1 1 |
| 41.23 | 46 | 2 0 -1 |
| 41.41 | 46 | 1 -2 0 |
| 42.58 | 49 | 1 2 -1 |
| 42.87 | 48 | -1 1 2 |
| 62.20 | 17 | 0 3 1 |

                                                                      March 2nd. 1879


Dear Brother

I received your letter yesterday and was glad to hear from you, you wrote in your letter that you would like know how I am getting along and how many children I have, I have four girls and one boy, two of the girls is married you wanted to now what I am doing I am living here in Stockton and work out by the day I have a great deal of trouble in the last two or three years my Wife and I don’t live together now she left me for some cause I don’t know for what reason I think it was on account of my son-in-law he got down on me because I was not willing for him to have my daughter he is but very bitter on account my wife has applied for a divorce she has about broken me up of everything I had I can tell you brother I have a great deal of trouble in the last two years or so it as been hard for me to endure it I can tell you – but I am getting over it a little now – you wrote that there was sum money coming to me from the old country I would like to know how much is coming to my part I think if I can get my part I will go back to the old country again as I have got nothing to keep me here I want you to send me sisters Ann letters as I would like to see it so I want you to write to me as soon as you get this letter and let me know how you are and getting along and will so when you think can get my part of the I have not heard from the old country for about six years ago and the I did not hear anything from our people – so nothing more


but still remain your Brother until Death  John Jones




                                    April 30th 1879

                                                                                                                                             Stockton City, California 


Dear Brother Ricy D Jones 


I am trying writing to you on my all hand this time, I am well, hope this will find you the same.  I had two letters from you one from Mr. Reilly, Mr. Reilly had been written  Dec 5th 1878 one from you written Sept 29 1878 one written February 22nd 1879 and this all I received, please register your letters to me and that is the safe way they reach me all I had last for a year.

I had a nice place here I offered  1000 hundred dollars for it I have not lived with my family since 3 years, they living now on the old place paying an interest on few hundred dollars.  My son John now here is going to open a barber shop this week and it is 3 blocks from the old residence and I have trouble though son-in-law hiring men his Father good  of property and money and that soft on brain of the woman to the time has vary dill to many China men and others I been here in Stockton about 6 years to long. 

Our Father and Mother they have died and 4 sisters we all must stick in regard to the money you speak to me where are they now are they with Brother Evan or in the bank on the farm now did Mother make her will who have the control of it how many shares to divide I though to make money this spring to come and see you there but I fail nothing to do I like to have some money and then I can come to see you then I know what to do I have not received Ann’s letter as yet I want you promise me please write soon to me keep me posted. I want to hear from your family, Brother do not forget me,     


this from you Brother J.D. Jones




                                                                                                                                                 February 10,1880


                                                                                                                                         Stockton City, California

Dear Brother Ricy D Jones 

I received your letter and Brother Evan on the 28 of January and I was very sick at the time with heavy cold now I am most well thank God for his mercies.  I am very sorry for your health is not so good now Brother I wish you and your Wife and your children all well a happy time.  Brother Ricy I am glad all ……… I am 59 on the 3 day if April, 1880 I have not worked much for 4 years only shearing sheep Spring and Faull and it is very hard times now to get much of that work or many other work for money from people in the country I am out of luck now for 5 in 6 years, my Brother least paid, to …… us catch e by my …… and thank heavenly to first day I remember the year 1876 27 day of April to the 15 day of June this days break my constitution I am not capable to recover no more, I am poor in wealth time in for I been …… to much I been making my home with a Doctor and I learn how to make or make to …….. most ………………. If only have money to start making my Madison I think I could make my home yet somewhere in my old days but I am now living in old house about a year and together man back the best, as we now how in the seen all dewilinful .  Brother Ricy I hardly know what to say about Brother Evan his letter ……. To me ……. ……. Way he tries to ………… us buy his on letter we had brother Evan says this I know they been to years or now before they found Tomas Jones our Uncle son, Jones …… ….. of selling the farms because our Father died and could not find Thomas Jones, Evan ask long since our Father his said is the money in the Bank and he say he could no find the ……. And this was about 5 or 7 years this a nonsense he wrong but I don’t know what he meant the Farms is not down all over another bag of gold I have see many times when I was home and she had money out to keep I know what become of that money her say that will of our Mother was she give all she had to him.  Brother Ricy let us try to find out all about particulars because I made son I been to day look to a Lawyer about the mater and he willing to assist us Brother wite to Ann again Thomas Llany……….. and together give my best respect to you all Brother John D Jones  This is now to all …….. to ….. the money

Write back soon as you can give us The address of brother Evan and sister Ann if you please god bless us all


This letter is proved very difficult to transcribe, John must have been very low, the handwriting is awful, it is clear that his looking for the family money, to view a copy of the original please click here



Stockton, California


December 2 1881


Dear Brother Ricy

What comes next are crystal structures, not part of the page:
- - -
Theoretical powder diffractogram
Compound: Ba2NaCe2Ti2FeSi8HO27
Radiation: a wavelength of 1.5418 Å
Structure: a DFT-relaxed cell (GGA+U, the Materials Project)
Intensities are scaled so that the largest is 100.

Crystal structure
a = 10.570 Å, b = 9.800 Å, c = 11.877 Å
α = 90.00°, β = 110.28°, γ = 90.00°
Space group C2 (No. 5)
Unique sites:
Ba 0.244 0.000 0.005 [4 per cell]
Na 0.000 0.057 0.500 [2 per cell]
Ce 0.158 0.723 0.462 [4 per cell]
Ti 0.050 0.742 0.128 [4 per cell]
Fe 0.000 0.384 0.500 [2 per cell]
Si 0.097 0.436 0.276 [4 per cell]
Si 0.121 0.238 0.753 [4 per cell]
Si 0.126 0.041 0.294 [4 per cell]
Si 0.193 0.768 0.758 [4 per cell]
H 0.000 0.199 0.000 [2 per cell]
O 0.000 0.586 0.500 [2 per cell]
O 0.000 0.610 0.000 [2 per cell]
O 0.000 0.872 0.000 [2 per cell]
O 0.029 0.106 0.769 [4 per cell]
O 0.061 0.381 0.795 [4 per cell]
O 0.089 0.810 0.625 [4 per cell]
O 0.091 0.603 0.276 [4 per cell]
O 0.115 0.879 0.260 [4 per cell]
O 0.128 0.245 0.620 [4 per cell]
O 0.133 0.754 0.866 [4 per cell]
O 0.150 0.360 0.405 [4 per cell]
O 0.183 0.061 0.438 [4 per cell]
O 0.190 0.391 0.194 [4 per cell]
O 0.228 0.119 0.236 [4 per cell]
O 0.236 0.719 0.135 [4 per cell]

Most intense lines, 2θ = 15–90°, most intense first:
| d [Å] | Position (°2θ) | I_rel | h k l |
| --- | --- | --- | --- |
| 2.921 | 30.60 | 100.0 | 2 2 -3 |
| 4.486 | 19.79 | 99.0 | 0 2 1 |
| 3.117 | 28.64 | 93.3 | 2 2 1 |
| 2.960 | 30.20 | 79.3 | 0 2 3 |
| 3.311 | 26.93 | 67.9 | 3 1 -1 |
| 1.868 | 48.74 | 58.0 | 4 2 2 |
| 4.573 | 19.41 | 51.9 | 2 0 -2 |
| 2.262 | 39.85 | 46.8 | 1 3 3 |


Theoretical powder diffractogram
Compound: RbLi2Co2B3O9
Radiation: a wavelength of 1.5418 Å
Structure: a DFT-relaxed cell (GGA+U, the Materials Project)
Intensities are scaled so that the largest is 100.

Crystal structure
a = 6.394 Å, b = 5.044 Å, c = 12.936 Å
α = 90.00°, β = 91.33°, γ = 90.00°
Space group P2/c (No. 13)
Unique sites:
Rb 0.000 0.209 0.250 [2 per cell]
Li 0.497 0.174 0.367 [4 per cell]
Co 0.235 0.316 0.566 [4 per cell]
B 0.193 0.183 0.958 [4 per cell]
B 0.500 0.333 0.750 [2 per cell]
O 0.043 0.297 0.894 [4 per cell]
O 0.244 0.084 0.449 [4 per cell]
O 0.296 0.330 0.034 [4 per cell]
O 0.402 0.179 0.672 [4 per cell]
O 0.500 0.401 0.250 [2 per cell]

Most intense lines, 2θ = 15–90°, most intense first:
| d [Å] | Position (°2θ) | I_rel | h k l |
| --- | --- | --- | --- |
| 2.893 | 30.91 | 100.0 | 2 0 -2 |
| 3.277 | 27.21 | 82.6 | 0 1 3 |
| 3.801 | 23.40 | 69.7 | 1 1 -1 |
| 2.839 | 31.51 | 35.5 | 2 0 2 |
| 2.937 | 30.43 | 30.2 | 1 1 -3 |
| 4.494 | 19.76 | 28.5 | 1 0 2 |
| 2.522 | 35.60 | 28.2 | 0 2 0 |
| 1.580 | 58.41 | 27.7 | 3 1 -5 |

~~~~~

Structure and computed powder XRD pattern of CsGaPb (a structure optimized by DFT (GGA-PBE); copper Kα).
Neutral-atom scattering factors, no anomalous dispersion.

The 10 most intense peaks (10 to 80 degrees two-theta), in order of falling intensity:
| d (Å) | Rel. int. | h k l |
| --- | --- | --- |
| 3.517 | 100 | 1 2 1 |
| 3.257 | 44 | 0 4 0 |
- - -

I take my pen in hand to once more to know why you have not answered my letter as I have wrote to you and have not got no answer from you yet I want you to write to me as soon as you get this letter and let me know how you are all getting along, I am well and the rest of the family my son John died about a year ago my daughters are all married but one

I would like to know is have you heard anything from the old country and whether you have heard any thing about our Mother’s estate and whether there is anything coming from the estate or not if there is I would like to get my part of it I want you to be sure and write without time and let me know how you and family are all getting a long, so if you have anything from the old country be sure and write to about that.  I wrote to you as soon as I got your letter and Evans letter and have not got no letter since from you and I would like to know the reason why you have not written it has been so long I am still  living in the same place.  I was working for a Doctor last winter. Spring and fall I shear sheep.  I am practicing medicine same time.

Be sure and write to me and give me all the news I will close by sending my love and respects to you and wife and family.

Yours until death    J.D. Jones